Please duplicate everything further down with every line break kept.

********
A molecular structure, C25H53GeN6OS2SeSi3Ti. Source: OMol25; level of theory: ωB97M-V with the def2-TZVPD basis set.

The spin multiplicity is 4. The highest occupied orbital energy (alpha / beta) is -5.53 / -5.88 eV. For the gap between HOMO and LUMO (alpha / beta), the calculation gives 5.5 / 3.2 eV. The net charge is 0.

Last column: Löwdin charge in e.
Element x y z (Å)
Ti1 1.1253 -0.1253 0.0701  0.079
O1 1.2829 -1.5894 1.2620  -0.338
N1 1.6629 -1.3548 2.5389  -0.150
C1 1.3663 -2.3074 3.4319  -0.013
C2 1.7476 -2.1929 4.7384  -0.049
C3 2.4793 -1.0641 5.1208  -0.073
C4 2.8004 -0.1250 4.1881  -0.083
C5 2.3915 -0.2481 2.8374  -0.628
S1 2.7859 0.8752 1.5905  0.677
H1 0.8168 -3.1423 3.0188  0.131
H2 1.4858 -2.9733 5.4398  0.110
H3 2.7978 -0.9401 6.1512  0.112
H4 3.3868 0.7471 4.4456  0.105
C6 -1.2855 5.1010 -1.9431  -0.081
N2 -1.0407 3.6686 -1.8419  -0.061
C7 0.1311 3.0952 -2.1373  -0.850
N3 1.0229 3.8685 -2.7855  0.131
S2 0.3831 1.4270 -1.8564  0.663
H5 -2.2985 5.3043 -1.6128  0.092
H6 -1.1999 5.4326 -2.9780  0.090
H7 -0.5962 5.6731 -1.3153  0.064
H8 -1.6248 3.1195 -1.2332  0.107
H9 0.9200 4.8665 -2.8500  0.088
H10 1.9328 3.4711 -2.9405  0.106
Se1 0.6669 3.9590 1.0765  0.880
C8 2.3156 4.8340 1.3254  -0.651
C9 2.9659 4.7913 2.5603  -0.112
C10 4.1610 5.4839 2.7052  -0.133
N4 4.7281 6.1905 1.7226  0.066
C11 4.1084 6.2149 0.5386  -0.140
C12 2.9118 5.5570 0.2895  -0.112
H11 2.5470 4.2270 3.3832  0.097
H12 4.6851 5.4746 3.6541  0.107
H13 4.5901 6.7891 -0.2438  0.105
H14 2.4484 5.6034 -0.6854  0.079
C13 -3.8180 -1.6391 -1.5587  -0.235
Si1 -2.3152 -1.5957 -2.6885  0.248
C14 -2.5358 -2.9796 -3.9326  -0.227
C15 -2.4047 0.0040 -3.6610  -0.243
Ge1 -0.3942 -1.7644 -1.3430  0.542
Si2 1.5932 -1.7249 -2.6860  0.286
C16 2.9638 -1.1059 -1.5001  -0.259
C17 2.0329 -3.4380 -3.3232  -0.230
C18 1.6958 -0.6448 -4.2250  -0.239
Si3 -0.4441 -3.9055 -0.3099  0.287
C19 -1.2660 -5.2533 -1.3301  -0.238
C20 -1.4887 -3.7387 1.2445  -0.239
C21 1.2204 -4.6162 0.1820  -0.220
H15 -4.7389 -1.8005 -2.1379  0.030
H16 -3.9305 -0.6961 -1.0040  0.008
H17 -3.7320 -2.4535 -0.8275  0.010
H18 -3.4903 -2.8780 -4.4729  0.030
H19 -2.5255 -3.9554 -3.4358  -0.001
H20 -1.7213 -2.9687 -4.6689  0.026
H21 -3.3546 0.0714 -4.2112  0.031
H22 -1.5812 0.0634 -4.3842  0.013
H23 -2.3182 0.8718 -2.9991  -0.011
H24 3.0670 -1.7667 -0.6388  0.027
H25 2.7505 -0.0763 -1.1389  -0.047
H26 3.9415 -1.0194 -1.9772  0.051
H27 1.9535 -4.2046 -2.5500  -0.009
H28 3.0531 -3.4714 -3.7425  0.031
H29 1.3271 -3.6929 -4.1265  0.030
H30 2.2146 0.2984 -4.0225  0.005
H31 0.7046 -0.3958 -4.6186  0.005
H32 2.2494 -1.1868 -5.0026  0.027
H33 -2.3321 -5.0353 -1.4793  0.015
H34 -1.1911 -6.2297 -0.8233  0.030
H35 -0.7937 -5.3425 -2.3163  0.023
H36 -2.5529 -3.7006 0.9757  0.017
H37 -1.2488 -2.8094 1.7743  -0.009
H38 -1.3466 -4.5923 1.9252  0.030
H39 1.7411 -5.0313 -0.6838  0.010
H40 1.0771 -5.4329 0.9048  0.032
H41 1.8671 -3.8595 0.6365  0.008
C22 -3.5902 -0.4302 2.7577  -0.041
C23 -2.5405 0.6293 2.4524  -0.628
C24 -3.1701 1.7694 1.6382  -0.040
C25 -1.9479 1.1805 3.7486  -0.041
N5 -1.4875 -0.0832 1.7029  -0.026
N6 -0.3807 0.7372 1.3055  -0.101
H42 -4.4396 0.0154 3.2855  0.087
H43 -3.1611 -1.2204 3.3812  0.088
H44 -3.9616 -0.8892 1.8338  0.080
H45 -3.9819 2.2467 2.1967  0.089
H46 -3.5840 1.3838 0.7005  0.080
H47 -2.4390 2.5552 1.4105  0.054
H48 -2.7458 1.4494 4.4465  0.088
H49 -1.3448 2.0807 3.5770  0.071
H50 -1.3183 0.4194 4.2216  0.087
H51 -1.8470 -0.4779 0.8407  0.059
H52 0.0919 1.0240 2.1537  0.042
H53 -0.6818 1.5945 0.8581  -0.012


3 unconnected molecules or ions with the total composition C25H53N3O5P. Source: OMol25; level of theory: ωB97M-V with the def2-TZVPD basis set.

The highest occupied orbital energy is -9.12 eV. For the gap between HOMO and LUMO, the calculation gives 5.7 eV. The net charge is +1.

Last column: Löwdin charge in e.
Element x y z (Å)
C1 1.8504 -2.7111 5.8682  -0.036
O1 2.9263 -2.9005 4.8838  -0.210
C2 2.6686 -4.1194 4.1805  -0.218
N1 3.4107 -4.2634 2.8793  -0.243
********

A molecular structure, C25H53GeN6OS2SeSi3Ti. Source: OMol25; level of theory: ωB97M-V with the def2-TZVPD basis set.

The spin multiplicity is 4. The highest occupied orbital energy (alpha / beta) is -5.53 / -5.88 eV. For the gap between HOMO and LUMO (alpha / beta), the calculation gives 5.5 / 3.2 eV. The net charge is 0.

Last column: Löwdin charge in e.
Element x y z (Å)
Ti1 1.1253 -0.1253 0.0701  0.079
O1 1.2829 -1.5894 1.2620  -0.338
N1 1.6629 -1.3548 2.5389  -0.150
C1 1.3663 -2.3074 3.4319  -0.013
C2 1.7476 -2.1929 4.7384  -0.049
C3 2.4793 -1.0641 5.1208  -0.073
C4 2.8004 -0.1250 4.1881  -0.083
C5 2.3915 -0.2481 2.8374  -0.628
S1 2.7859 0.8752 1.5905  0.677
H1 0.8168 -3.1423 3.0188  0.131
H2 1.4858 -2.9733 5.4398  0.110
H3 2.7978 -0.9401 6.1512  0.112
H4 3.3868 0.7471 4.4456  0.105
C6 -1.2855 5.1010 -1.9431  -0.081
N2 -1.0407 3.6686 -1.8419  -0.061
C7 0.1311 3.0952 -2.1373  -0.850
N3 1.0229 3.8685 -2.7855  0.131
S2 0.3831 1.4270 -1.8564  0.663
H5 -2.2985 5.3043 -1.6128  0.092
H6 -1.1999 5.4326 -2.9780  0.090
H7 -0.5962 5.6731 -1.3153  0.064
H8 -1.6248 3.1195 -1.2332  0.107
H9 0.9200 4.8665 -2.8500  0.088
H10 1.9328 3.4711 -2.9405  0.106
Se1 0.6669 3.9590 1.0765  0.880
C8 2.3156 4.8340 1.3254  -0.651
C9 2.9659 4.7913 2.5603  -0.112
C10 4.1610 5.4839 2.7052  -0.133
N4 4.7281 6.1905 1.7226  0.066
C11 4.1084 6.2149 0.5386  -0.140
C12 2.9118 5.5570 0.2895  -0.112
H11 2.5470 4.2270 3.3832  0.097
H12 4.6851 5.4746 3.6541  0.107
H13 4.5901 6.7891 -0.2438  0.105
H14 2.4484 5.6034 -0.6854  0.079
C13 -3.8180 -1.6391 -1.5587  -0.235
Si1 -2.3152 -1.5957 -2.6885  0.248
C14 -2.5358 -2.9796 -3.9326  -0.227
C15 -2.4047 0.0040 -3.6610  -0.243
Ge1 -0.3942 -1.7644 -1.3430  0.542
Si2 1.5932 -1.7249 -2.6860  0.286
C16 2.9638 -1.1059 -1.5001  -0.259
C17 2.0329 -3.4380 -3.3232  -0.230
C18 1.6958 -0.6448 -4.2250  -0.239
Si3 -0.4441 -3.9055 -0.3099  0.287
C19 -1.2660 -5.2533 -1.3301  -0.238
C20 -1.4887 -3.7387 1.2445  -0.239
C21 1.2204 -4.6162 0.1820  -0.220
H15 -4.7389 -1.8005 -2.1379  0.030
H16 -3.9305 -0.6961 -1.0040  0.008
H17 -3.7320 -2.4535 -0.8275  0.010
H18 -3.4903 -2.8780 -4.4729  0.030
H19 -2.5255 -3.9554 -3.4358  -0.001
H20 -1.7213 -2.9687 -4.6689  0.026
H21 -3.3546 0.0714 -4.2112  0.031
H22 -1.5812 0.0634 -4.3842  0.013
H23 -2.3182 0.8718 -2.9991  -0.011
H24 3.0670 -1.7667 -0.6388  0.027
H25 2.7505 -0.0763 -1.1389  -0.047
H26 3.9415 -1.0194 -1.9772  0.051
H27 1.9535 -4.2046 -2.5500  -0.009
H28 3.0531 -3.4714 -3.7425  0.031
H29 1.3271 -3.6929 -4.1265  0.030
H30 2.2146 0.2984 -4.0225  0.005
H31 0.7046 -0.3958 -4.6186  0.005
H32 2.2494 -1.1868 -5.0026  0.027
H33 -2.3321 -5.0353 -1.4793  0.015
H34 -1.1911 -6.2297 -0.8233  0.030
H35 -0.7937 -5.3425 -2.3163  0.023
H36 -2.5529 -3.7006 0.9757  0.017
H37 -1.2488 -2.8094 1.7743  -0.009
H38 -1.3466 -4.5923 1.9252  0.030
H39 1.7411 -5.0313 -0.6838  0.010
H40 1.0771 -5.4329 0.9048  0.032
H41 1.8671 -3.8595 0.6365  0.008
C22 -3.5902 -0.4302 2.7577  -0.041
C23 -2.5405 0.6293 2.4524  -0.628
C24 -3.1701 1.7694 1.6382  -0.040
C25 -1.9479 1.1805 3.7486  -0.041
N5 -1.4875 -0.0832 1.7029  -0.026
N6 -0.3807 0.7372 1.3055  -0.101
H42 -4.4396 0.0154 3.2855  0.087
H43 -3.1611 -1.2204 3.3812  0.088
H44 -3.9616 -0.8892 1.8338  0.080
H45 -3.9819 2.2467 2.1967  0.089
H46 -3.5840 1.3838 0.7005  0.080
H47 -2.4390 2.5552 1.4105  0.054
H48 -2.7458 1.4494 4.4465  0.088
H49 -1.3448 2.0807 3.5770  0.071
H50 -1.3183 0.4194 4.2216  0.087
H51 -1.8470 -0.4779 0.8407  0.059
H52 0.0919 1.0240 2.1537  0.042
H53 -0.6818 1.5945 0.8581  -0.012


3 unconnected molecules or ions with the total composition C25H53N3O5P. Source: OMol25; level of theory: ωB97M-V with the def2-TZVPD basis set.

The highest occupied orbital energy is -9.12 eV. For the gap between HOMO and LUMO, the calculation gives 5.7 eV. The net charge is +1.

Last column: Löwdin charge in e.
Element x y z (Å)
C1 1.8504 -2.7111 5.8682  -0.036
O1 2.9263 -2.9005 4.8838  -0.210
C2 2.6686 -4.1194 4.1805  -0.218
N1 3.4107 -4.2634 2.8793  -0.243